Listing
____________
{"formula": "C4H9N", "method": "the ωB97M-V functional and the def2-TZVPD basis", "total_charge": 0, "multiplicity": 1, "e_above_lowest_kj_mol": 365.7, "energy_ha": -212.41190, "orbital_gap_ha": 0.3487, "elements": ["C", "N", "C", "C", "H", "H", "H", "H", "H", "C", "H", "H", "H", "H"], "xyz": [[-1.34530, -1.31282, -1.10579], [-0.73726, -0.30162, -0.23574], [0.13243, -0.85965, 0.83804], [-1.02302, -0.46556, 1.21287], [-1.48524, -2.29132, -0.61971], [-2.31692, -0.94240, -1.45037], [-0.70175, -1.44135, -1.98356], [1.15881, -1.16672, 0.95417], [-1.77347, -0.15423, 1.92019], [1.61976, 1.79071, 0.10120], [2.16302, 2.02593, 1.01981], [2.04998, 0.89900, -0.36472], [1.68999, 2.62635, -0.59794], [0.56896, 1.59368, 0.31157]]}

=====

[1]
Molecular formula: C3H6CsMgO5
Method: DFT, ωB97M-V/def2-TZVPD

Output
**Multiplicity**: 1
**Energy above the lowest of the compared OMol25 structures with the same formula, charge and spin**: 97.43 kJ/mol
**LUMO energy**: 1.3 eV
**Charge**: -1
**Kohn-Sham gap**: 3.41 eV

CARTESIAN COORDINATES (ANGSTROEM)
H 1.60 -2.08 -0.86
C 1.69 -1.42 0.03
C 0.59 -0.36 -0.05
O -0.72 -0.84 0.00
Mg 3.27 1.11 0.05
O 2.92 -0.79 0.10
H 1.49 -2.06 0.91
H 0.77 0.22 -0.97
H 0.74 0.31 0.82
C -1.90 0.46 0.03
O -1.50 1.61 -0.40
O -3.04 -0.06 -0.59
H -2.88 -0.07 -1.53
Cs 0.36 4.21 -0.43
O -2.04 0.34 1.38
H -1.33 -0.59 1.51

Quick look at the Mulliken charges, all values in e:
1. H 0.216
2. C -0.055
3. C -0.359
4. O -0.609
5. Mg 0.027
6. O -0.813
7. H 0.234
8. H 0.207
9. H 0.211
10. C 0.627
11. O -0.755
12. O -0.503
13. H 0.302
14. Cs 0.522
15. O -0.680
16. H 0.427

***

[2]
Molecular formula: C3H6EuLiO5
Method: DFT, ωB97M-V/def2-TZVPD

Output
**Multiplicity**: 8
**Energy above the lowest of the compared OMol25 structures with the same formula, charge and spin**: 0.00 kJ/mol
**LUMO energy (spin up / spin down)**: -5.7 / -5.6 eV
**⟨S²⟩**: 15.762
**Charge**: +1
**Kohn-Sham gap (spin up / spin down)**: 5.98 / 6.14 eV

CARTESIAN COORDINATES (ANGSTROEM)
H -1.28 -1.60 -3.70
C -0.77 -1.92 -2.77
C -1.18 -0.94 -1.67
O -2.54 -1.07 -1.37
Eu 2.76 -1.27 -2.57
O 0.59 -1.98 -2.93
H -1.20 -2.91 -2.52
H -0.94 0.08 -2.02
H -0.55 -1.16 -0.78
C -3.59 1.30 0.63
O -2.99 2.40 0.64
O -4.74 1.15 -0.05
H -5.02 2.00 -0.41
Li -2.24 1.81 2.36
O -3.31 0.38 1.47
H -2.63 -1.15 -0.35

Quick look at the Mulliken charges, all values in e:
1. H 0.233
2. C -0.308
3. C -0.340
4. O -0.519
5. Eu 1.580
6. O -0.734
7. H 0.254
8. H 0.231
9. H 0.264
10. C 1.045
11. O -0.890
12. O -0.422
13. H 0.313
14. Li 0.859
15. O -0.870
16. H 0.304

***

[3]
Molecular formula: C3H6F2
Method: DFT, ωB97M-V/def2-TZVPD

Output
**Multiplicity**: 1
**Energy above the lowest of the compared OMol25 structures with the same formula, charge and spin**: 171.02 kJ/mol
**LUMO energy**: 1.0 eV
**Structure (SMILES)**: C[C@@H](F)CF
**Kohn-Sham gap**: 12.49 eV

CARTESIAN COORDINATES (ANGSTROEM)
C -0.73 1.14 -0.17
C -0.47 -0.35 0.32
C 0.98 -0.82 -0.01
H -0.51 1.76 0.75
H -1.70 1.47 -0.77
H 0.14 1.38 -0.87
H -0.66 -0.42 1.32
H 1.25 -1.31 0.93
H 0.99 -1.70 -0.67
F -1.39 -1.13 -0.47
F 2.10 -0.01 -0.36

Quick look at the natural (NBO) charges, all values in e:
1. C -0.667
2. C 0.185
3. C -0.003
4. H 0.213
5. H 0.250
6. H 0.223
7. H 0.168
8. H 0.162
9. H 0.197
10. F -0.373
11. F -0.356

***

[4]
Molecular formula: C3H6F2N2
Method: DFT, ωB97M-V/def2-TZVPD

Output
**Multiplicity**: 1
**Energy above the lowest of the compared OMol25 structures with the same formula, charge and spin**: 322.25 kJ/mol
**LUMO energy**: 0.8 eV
**Kohn-Sham gap**: 7.52 eV

CARTESIAN COORDINATES (ANGSTROEM)
C 1.15 -1.18 0.98
C -1.88 1.00 0.32
C 0.88 -0.69 -1.36
N 0.97 -0.39 -0.08
N -0.74 1.50 0.18
F -2.93 1.79 0.66
F 1.19 -1.98 -1.69
H 0.80 -0.80 1.88
H 1.37 -2.21 0.74
H -2.10 -0.08 0.42
H 1.23 -0.06 -2.18
H 0.90 0.63 -0.03
H -0.83 2.50 0.16

Quick look at the natural (NBO) charges, all values in e:
1. C -0.420
2. C 0.521
3. C 0.204
4. N -0.443
5. N -0.706
6. F -0.339
7. F -0.359
8. H 0.185
9. H 0.201
10. H 0.180
11. H 0.153
12. H 0.456
____________

What to do
Quote the lines above from the one with "**⟨S²⟩**: 15.762" to the one with "1.25 -1.31" word for word, please.

Completed
**⟨S²⟩**: 15.762
**Charge**: +1
**Kohn-Sham gap (spin up / spin down)**: 5.98 / 6.14 eV

CARTESIAN COORDINATES (ANGSTROEM)
H -1.28 -1.60 -3.70
C -0.77 -1.92 -2.77
C -1.18 -0.94 -1.67
O -2.54 -1.07 -1.37
Eu 2.76 -1.27 -2.57
O 0.59 -1.98 -2.93
H -1.20 -2.91 -2.52
H -0.94 0.08 -2.02
H -0.55 -1.16 -0.78
C -3.59 1.30 0.63
O -2.99 2.40 0.64
O -4.74 1.15 -0.05
H -5.02 2.00 -0.41
Li -2.24 1.81 2.36
O -3.31 0.38 1.47
H -2.63 -1.15 -0.35

Quick look at the Mulliken charges, all values in e:
1. H 0.233
2. C -0.308
3. C -0.340
4. O -0.519
5. Eu 1.580
6. O -0.734
7. H 0.254
8. H 0.231
9. H 0.264
10. C 1.045
11. O -0.890
12. O -0.422
13. H 0.313
14. Li 0.859
15. O -0.870
16. H 0.304

***

[3]
Molecular formula: C3H6F2
Method: DFT, ωB97M-V/def2-TZVPD

Output
**Multiplicity**: 1
**Energy above the lowest of the compared OMol25 structures with the same formula, charge and spin**: 171.02 kJ/mol
**LUMO energy**: 1.0 eV
**Structure (SMILES)**: C[C@@H](F)CF
**Kohn-Sham gap**: 12.49 eV

CARTESIAN COORDINATES (ANGSTROEM)
C -0.73 1.14 -0.17
C -0.47 -0.35 0.32
C 0.98 -0.82 -0.01
H -0.51 1.76 0.75
H -1.70 1.47 -0.77
H 0.14 1.38 -0.87
H -0.66 -0.42 1.32
H 1.25 -1.31 0.93